+++
[1]
A plane-wave DFT calculation with GGA-PBE was carried out for a relaxed structure of SrCoPb4.

Summary:
The value obtained for the volume is 761 Å³ per cell. The value obtained for the size of the total moment is 1.96 μB per formula unit. The formation energy comes out at 0.3601 eV/atom.

Lattice parameters (Å, degrees): 9.1313 9.1313 9.1313 90.00 90.00 90.00
With the nearest neighbours (Å) after each atom.
Space group F-43m (No. 216)
One atom of each set of equivalent atoms:
Sr1 0.0000 0.0000 0.0000 x4  12 Pb 3.79, 4 Co 3.95
Co1 0.2500 0.2500 0.7500 x4  12 Pb 3.79, 4 Sr 3.95
Pb1 0.1248 0.1248 0.3752 x16  6 Pb 3.22-3.23

[2]
A plane-wave DFT calculation with GGA-PBE was carried out for a relaxed structure of SrY2CoPb.

Summary:
The value obtained for the volume is 151 Å³ per cell. The value obtained for the size of the total moment is 0.00 μB per formula unit. The formation energy comes out at -0.0955 eV/atom.

Lattice parameters (Å, degrees): 5.2355 5.2355 5.5130 90.00 90.00 90.00
With the nearest neighbours (Å) after each atom.
Space group P4/mmm (No. 123)
One atom of each set of equivalent atoms:
Sr1 0.0000 0.0000 0.0000 x1  2 Co 2.76
Y1 0.0000 0.5000 0.5000 x2  2 Co 2.62
Co1 0.0000 0.0000 0.5000 x1  4 Y 2.62, 2 Sr 2.76
Pb1 0.5000 0.5000 0.0000 x1  4 Sr 3.70, 8 Y 3.80

[3]
A plane-wave DFT calculation with GGA-PBE was carried out for a relaxed structure of SrZn2CoPb.

Summary:
The value obtained for the volume is 115 Å³ per cell. The value obtained for the size of the total moment is 0.67 μB per formula unit. The formation energy comes out at -0.0752 eV/atom.

Lattice parameters (Å, degrees): 4.8036 4.8036 4.9694 90.00 90.00 90.00
With the nearest neighbours (Å) after each atom.
Space group P4/mmm (No. 123)
One atom of each set of equivalent atoms:
Sr1 0.0000 0.0000 0.0000 x1  4 Pb 3.40, 8 Zn 3.46
Zn1 0.0000 0.5000 0.5000 x2  2 Co 2.40
Co1 0.5000 0.5000 0.5000 x1  4 Zn 2.40, 2 Pb 2.48
Pb1 0.5000 0.5000 0.0000 x1  2 Co 2.48

[4]
A plane-wave DFT calculation with GGA-PBE was carried out for a relaxed structure of TaCoPb2.

Summary:
The value obtained for the volume is 339 Å³ per cell. The offset from the most stable computed form comes out at 0.7325 eV/atom. The value obtained for the size of the total moment is 1.89 μB per formula unit. The formation energy comes out at 0.9389 eV/atom.

Lattice parameters (Å, degrees): 6.9709 6.9709 6.9709 90.00 90.00 90.00
With the nearest neighbours (Å) after each atom.
Space group F-43m (No. 216)
One atom of each set of equivalent atoms:
Ta1 0.0000 0.0000 0.0000 x4  4 Pb 3.02, 4 Co 3.02
Co1 0.2500 0.2500 0.7500 x4  4 Ta 3.02, 4 Pb 3.02
Pb1 0.0000 0.0000 0.5000 x4  4 Pb 3.02, 4 Co 3.02
Pb2 0.2500 0.2500 0.2500 x4  4 Ta 3.02, 4 Pb 3.02

[5]
A plane-wave DFT calculation with GGA-PBE was carried out for a relaxed structure of TaCoPb2.

Summary:
The value obtained for the volume is 160 Å³ per cell. The offset from the most stable computed form comes out at 0.5010 eV/atom. The value obtained for the size of the total moment is 0.97 μB per formula unit. The formation energy comes out at 0.7074 eV/atom.

Lattice parameters (Å, degrees): 6.9826 6.9912 3.2757 90.00 90.00 90.00
With the nearest neighbours (Å) after each atom.
Space group Cmmm (No. 65)
One atom of each set of equivalent atoms:
Ta1 0.0000 0.0000 0.0000 x2  8 Pb 2.96, 2 Ta 3.28
Co1 0.0000 0.5000 0.0000 x2  8 Pb 2.96, 2 Co 3.28
Pb1 0.2500 0.2500 0.5000 x4  4 Ta 2.96, 4 Co 2.96, 2 Pb 3.28

[6]
A plane-wave DFT calculation with GGA-PBE was carried out for a relaxed structure of TaCoPb.

Summary:
The value obtained for the volume is 52 Å³ per cell. The value obtained for the size of the total moment is 0.32 μB per formula unit. The formation energy comes out at 0.4941 eV/atom.

Lattice parameters (Å, degrees): 4.4640 4.4640 3.0226 90.00 90.00 120.00
With the nearest neighbours (Å) after each atom.
Space group P3m1 (No. 156)
One atom of each set of equivalent atoms:
Ta1 0.0000 0.0000 0.0000 x1  6 Co 2.98-3.00, 6 Pb 2.99, 2 Ta 3.02
+++

The reader should set down the whole of the block earlier on unchanged.

[1]
A plane-wave DFT calculation with GGA-PBE was carried out for a relaxed structure of SrCoPb4.

Summary:
The value obtained for the volume is 761 Å³ per cell. The value obtained for the size of the total moment is 1.96 μB per formula unit. The formation energy comes out at 0.3601 eV/atom.

Lattice parameters (Å, degrees): 9.1313 9.1313 9.1313 90.00 90.00 90.00
With the nearest neighbours (Å) after each atom.
Space group F-43m (No. 216)
One atom of each set of equivalent atoms:
Sr1 0.0000 0.0000 0.0000 x4  12 Pb 3.79, 4 Co 3.95
Co1 0.2500 0.2500 0.7500 x4  12 Pb 3.79, 4 Sr 3.95
Pb1 0.1248 0.1248 0.3752 x16  6 Pb 3.22-3.23

[2]
A plane-wave DFT calculation with GGA-PBE was carried out for a relaxed structure of SrY2CoPb.

Summary:
The value obtained for the volume is 151 Å³ per cell. The value obtained for the size of the total moment is 0.00 μB per formula unit. The formation energy comes out at -0.0955 eV/atom.

Lattice parameters (Å, degrees): 5.2355 5.2355 5.5130 90.00 90.00 90.00
With the nearest neighbours (Å) after each atom.
Space group P4/mmm (No. 123)
One atom of each set of equivalent atoms:
Sr1 0.0000 0.0000 0.0000 x1  2 Co 2.76
Y1 0.0000 0.5000 0.5000 x2  2 Co 2.62
Co1 0.0000 0.0000 0.5000 x1  4 Y 2.62, 2 Sr 2.76
Pb1 0.5000 0.5000 0.0000 x1  4 Sr 3.70, 8 Y 3.80

[3]
A plane-wave DFT calculation with GGA-PBE was carried out for a relaxed structure of SrZn2CoPb.

Summary:
The value obtained for the volume is 115 Å³ per cell. The value obtained for the size of the total moment is 0.67 μB per formula unit. The formation energy comes out at -0.0752 eV/atom.

Lattice parameters (Å, degrees): 4.8036 4.8036 4.9694 90.00 90.00 90.00
With the nearest neighbours (Å) after each atom.
Space group P4/mmm (No. 123)
One atom of each set of equivalent atoms:
Sr1 0.0000 0.0000 0.0000 x1  4 Pb 3.40, 8 Zn 3.46
Zn1 0.0000 0.5000 0.5000 x2  2 Co 2.40
Co1 0.5000 0.5000 0.5000 x1  4 Zn 2.40, 2 Pb 2.48
Pb1 0.5000 0.5000 0.0000 x1  2 Co 2.48

[4]
A plane-wave DFT calculation with GGA-PBE was carried out for a relaxed structure of TaCoPb2.

Summary:
The value obtained for the volume is 339 Å³ per cell. The offset from the most stable computed form comes out at 0.7325 eV/atom. The value obtained for the size of the total moment is 1.89 μB per formula unit. The formation energy comes out at 0.9389 eV/atom.

Lattice parameters (Å, degrees): 6.9709 6.9709 6.9709 90.00 90.00 90.00
With the nearest neighbours (Å) after each atom.
Space group F-43m (No. 216)
One atom of each set of equivalent atoms:
Ta1 0.0000 0.0000 0.0000 x4  4 Pb 3.02, 4 Co 3.02
Co1 0.2500 0.2500 0.7500 x4  4 Ta 3.02, 4 Pb 3.02
Pb1 0.0000 0.0000 0.5000 x4  4 Pb 3.02, 4 Co 3.02
Pb2 0.2500 0.2500 0.2500 x4  4 Ta 3.02, 4 Pb 3.02

[5]
A plane-wave DFT calculation with GGA-PBE was carried out for a relaxed structure of TaCoPb2.

Summary:
The value obtained for the volume is 160 Å³ per cell. The offset from the most stable computed form comes out at 0.5010 eV/atom. The value obtained for the size of the total moment is 0.97 μB per formula unit. The formation energy comes out at 0.7074 eV/atom.

Lattice parameters (Å, degrees): 6.9826 6.9912 3.2757 90.00 90.00 90.00
With the nearest neighbours (Å) after each atom.
Space group Cmmm (No. 65)
One atom of each set of equivalent atoms:
Ta1 0.0000 0.0000 0.0000 x2  8 Pb 2.96, 2 Ta 3.28
Co1 0.0000 0.5000 0.0000 x2  8 Pb 2.96, 2 Co 3.28
Pb1 0.2500 0.2500 0.5000 x4  4 Ta 2.96, 4 Co 2.96, 2 Pb 3.28

[6]
A plane-wave DFT calculation with GGA-PBE was carried out for a relaxed structure of TaCoPb.

Summary:
The value obtained for the volume is 52 Å³ per cell. The value obtained for the size of the total moment is 0.32 μB per formula unit. The formation energy comes out at 0.4941 eV/atom.

Lattice parameters (Å, degrees): 4.4640 4.4640 3.0226 90.00 90.00 120.00
With the nearest neighbours (Å) after each atom.
Space group P3m1 (No. 156)
One atom of each set of equivalent atoms:
Ta1 0.0000 0.0000 0.0000 x1  6 Co 2.98-3.00, 6 Pb 2.99, 2 Ta 3.02